Imagine if you could buy a home with no debt. Wouldn’t you do that? State government has the option to do something similar with the State Capital and Infrastructure Fund, but Gov. Roy Cooper prefers debt.
Both the legislature and the governor agree the state should spend $1.5 billion to $1.9 billion on public school facilities and $500 million or more for community college and university facilities. They differ over how to pay the bill. The General Assembly would provide money for these projects without taking on any new debt. As Daft Punk might sing, this approach would build them faster, cheaper, better than Cooper’s proposed school bond. The bond would add new state debt.
The key to avoiding new debt is the State Capital and Infrastructure Fund, or SCIF, which receives 4 percent of state tax revenue, one-fourth of the previous fiscal year’s unreserved balance — available money not dedicated to any expense — and other money as directed by statute or the General Assembly. Debt service on existing bonds takes $721 million of the $1.3 billion available through the SCIF for the new fiscal year. The remainder pays for repairs and renovations of existing state facilities and new capital projects.
In future years, the SCIF’s mix of debt service and new projects would change.
Next to the article, the page also holds data records:
The following is a quantum chemistry calculation of C4H12N2O2 as an isolated structure in a non-equilibrium geometry, from OMol25.

Geometry as XYZ:
```
20
Properties=species:S:1:pos:R:3
C -0.5867 -0.5283 -0.6312
C -1.8006 0.9708 -0.4851
C 1.1188 -1.1435 2.0605
C 1.1832 1.1430 -0.6466
N 0.2399 0.3018 0.0756
N -0.2789 -1.0660 -1.8602
O 1.3918 -0.9617 0.7165
O -2.3005 0.9479 0.7885
H -1.5644 1.0990 1.4009
H -1.1850 -1.1834 -0.0015
H 0.4779 -0.6394 -2.3747
H -0.2469 -2.0739 -1.8991
H -2.5571 0.6269 -1.1868
H -1.3857 1.9241 -0.8149
H 0.0291 -1.1227 2.2711
H 1.4924 -2.1265 2.3841
H 1.5865 -0.3754 2.7001
H 2.2010 0.7586 -0.5972
H 1.1771 2.1288 -0.1862
H 1.0080 1.3199 -1.7137
```

As for the LUMO energy: 0.0323 Ha. The value obtained for the orbital gap is 0.329 Eh. Its spin multiplicity is 1. For the highest occupied orbital energy, the calculation gives -8.07 eV. The total energy is -419.42371 Eh.
The budget bill approved by lawmakers and vetoed by Cooper provides the capital spending plan for the next six years — through fiscal 2024-25. Legislators have plans for school and community college projects through fiscal 2029-30. As the state pays off its current debts, more money becomes available through the SCIF for new repairs, renovations, and construction.
Unlike a bond, the SCIF pays for construction now, not in the future when debt payments could compete with critical services in a recession. Unlike a slush fund, every dollar in the SCIF flows through the state treasury and is appropriated by the General Assembly as part of the budget.
The SCIF provides money for school construction sooner than a bond. A November 2020 vote would mean the first bonds would be sold in fiscal 2022-23. Office of State Budget and Management projections suggest $270 million would be available for school construction that year. SCIF appropriations by that point would have exceeded $600 million for K-12 schools and $120 million for community colleges, with four years’ worth of projects already under way.
No borrowing means no interest payments, which combined with diversion from operations reduces the chance of a future tax increase. With bonds, debt service would continue at 3.5 percent or more of General Fund revenue, leaving it unavailable for operations or other needs. When the economy slows, the combination of lower tax revenues and higher demands for revenue to cover debt service makes a tax increase more likely. This combination would also limit the state’s ability to borrow and force a delay in bond sales, pushing off new projects until the state can again borrow.
Paying for projects with available cash means the state can reduce its payments to debt service and, if capital needs are being met, use the extra funds to pay down unfunded obligations for pensions and retiree health benefits. This is important for a state that has an estimated unfunded obligation of $35 billion to $40 billion. With no debt, voters and legislators could decide between government services and tax cuts with a degree of freedom not available for policy decisions in other states. That depends on wise choices today.
Cooper already has demonstrated that he would spend one-time money on recurring expenses. As his school bond proposal shows, he would borrow money to make one-time capital expenses recurring debt payments into the future. We may still question the need for state spending on K-12 schools, but the governor and legislature agree it’s a good idea. The SCIF is the best way for the state to play a significant role in paying for local school construction needs, getting the projects started faster, with cheaper financing, and better financial controls in the future.